# Contents
........
# 1
Here is a relaxed structure of TlHgCl2 from Alexandria. Energies are from GGA-PBE.

formation energy (no corrections): -0.302 eV per atom
calculated density: 7.46 g cm⁻³
calculated total energy: -1.8918 eV per atom

a = 5.3099 Å, b = 5.3099 Å, c = 5.3099 Å
α = 60.00°, β = 60.00°, γ = 60.00°
With the nearest neighbours (Å) after each atom.
Fractional positions:
Tl: 0.7500 0.7500 0.7500  4 Cl 3.25, 4 Hg 3.25
Hg: 0.5000 0.5000 0.5000  4 Tl 3.25, 4 Cl 3.25
Cl: 0.0000 0.0000 0.0000  4 Cl 3.25, 4 Tl 3.25
Cl: 0.2500 0.2500 0.2500  4 Hg 3.25, 4 Cl 3.25

---

# 2
Here is a relaxed structure of TbZn12Ag6 from Alexandria. Energies are from GGA-PBE.

calculated density: 7.76 g cm⁻³
calculated total energy: -1.9531 eV per atom

a = 7.2877 Å, b = 7.2877 Å, c = 7.2877 Å
α = 104.69°, β = 104.69°, γ = 104.69°
With the nearest neighbours (Å) after each atom.
Fractional positions:
Tb: 0.0000 0.0000 0.0000  6 Zn 3.04
Zn: 0.8919 0.1081 0.5000  3 Zn 2.49-2.74, 4 Ag 2.61-2.74
Zn: 0.8741 0.6286 0.6286  4 Ag 2.70-2.82, 4 Zn 2.74-2.83
Zn: 0.6286 0.6286 0.8741  4 Ag 2.70-2.82, 4 Zn 2.74-2.83
Zn: 0.3714 0.1259 0.3714  4 Ag 2.70-2.82, 4 Zn 2.74-2.83
Zn: 0.3714 0.3714 0.1259  4 Ag 2.70-2.82, 4 Zn 2.74-2.83
Zn: 0.1259 0.3714 0.3714  4 Ag 2.70-2.82, 4 Zn 2.74-2.83
Zn: 0.1081 0.5000 0.8919  3 Zn 2.49-2.74, 4 Ag 2.61-2.74
Zn: 0.5000 0.8919 0.1081  3 Zn 2.49-2.74, 4 Ag 2.61-2.74
Zn: 0.1081 0.8919 0.5000  3 Zn 2.49-2.74, 4 Ag 2.61-2.74
Zn: 0.8919 0.5000 0.1081  3 Zn 2.49-2.74, 4 Ag 2.61-2.74
Zn: 0.5000 0.1081 0.8919  3 Zn 2.49-2.74, 4 Ag 2.61-2.74
Zn: 0.6286 0.8741 0.6286  4 Ag 2.70-2.82, 4 Zn 2.74-2.83
Ag: 0.7098 0.2956 0.2956  8 Zn 2.61-2.82
Ag: 0.2956 0.2956 0.7098  8 Zn 2.61-2.82
Ag: 0.2956 0.7098 0.2956  8 Zn 2.61-2.82
Ag: 0.7044 0.7044 0.2902  8 Zn 2.61-2.82
Ag: 0.2902 0.7044 0.7044  8 Zn 2.61-2.82
Ag: 0.7044 0.2902 0.7044  8 Zn 2.61-2.82

---

# 3
Here is a relaxed structure of PdPtPb2 from Alexandria. Energies are from GGA-PBE.

calculated density: 12.73 g cm⁻³
calculated total energy: -4.7475 eV per atom

a = 3.9971 Å, b = 3.9971 Å, c = 7.1317 Å
α = 73.73°, β = 73.73°, γ = 60.00°
With the nearest neighbours (Å) after each atom.
Fractional positions:
Pd: 0.5038 0.5038 0.4887  6 Pb 2.84-2.95
Pt: 0.6640 0.6640 0.0080  6 Pb 2.80-2.85
Pb: 0.0798 0.0798 0.7605  3 Pt 2.85, 3 Pd 2.95
Pb: 0.2524 0.2524 0.2428  3 Pt 2.80, 3 Pd 2.84


(1)
{"formula": "TeBrO2", "functional": "GGA-PBE", "state": "optimized geometry", "final_energy_ev_per_atom": -4.1831, "raw_formation_energy_ev_per_fu": -2.00, "space_group": "Imm2 (44)", "polymorph_energy_kj_per_mol_atoms": 12.6, "cell": [[-1.7012, 1.9787, 6.4896], [1.7012, -1.9787, 6.4896], [1.7012, 1.9787, -6.4896]], "species": ["Te", "Br", "O", "O"], "frac_coords": [[0.0000, 0.0000, 0.0000], [0.8278, 0.3278, 0.5000], [0.0859, 0.5859, 0.5000], [0.4977, 0.9977, 0.5000]]}


(2)
{"formula": "AgIrPd3", "functional": "GGA-PBE", "state": "optimized geometry", "final_energy_ev_per_atom": -4.3487, "space_group": "Pm-3m (221)", "formation_enthalpy_0k_ev_per_atom": 1.11, "polymorph_energy_kj_per_mol_atoms": 0.0, "cell": [[4.8403, 0.0000, 0.0000], [0.0000, 4.8403, 0.0000], [0.0000, 0.0000, 4.8403]], "species": ["Ag", "Ir", "Pd", "Pd", "Pd"], "frac_coords": [[0.0000, 0.0000, 0.0000], [0.5000, 0.5000, 0.5000], [0.0000, 0.5000, 0.5000], [0.5000, 0.0000, 0.5000], [0.5000, 0.5000, 0.0000]]}


(3)
{"formula": "HgSb3Te", "functional": "GGA-PBE", "state": "optimized geometry", "final_energy_ev_per_atom": -2.3715, "raw_formation_energy_ev_per_fu": 3.95, "space_group": "Pm-3m (221)", "polymorph_energy_kj_per_mol_atoms": 0.0, "cell": [[5.7942, 0.0000, 0.0000], [0.0000, 5.7942, 0.0000], [0.0000, 0.0000, 5.7942]], "species": ["Hg", "Sb", "Sb", "Sb", "Te"], "frac_coords": [[0.0000, 0.0000, 0.0000], [0.0000, 0.5000, 0.5000], [0.5000, 0.0000, 0.5000], [0.5000, 0.5000, 0.0000], [0.5000, 0.5000, 0.5000]]}


(4)
........

# To do
Your job: echo only the lines earlier on with the word "are" in them.

# Response
Here is a relaxed structure of TlHgCl2 from Alexandria. Energies are from GGA-PBE.
Here is a relaxed structure of TbZn12Ag6 from Alexandria. Energies are from GGA-PBE.
Here is a relaxed structure of PdPtPb2 from Alexandria. Energies are from GGA-PBE.